Assignment.
Now duplicate everything further down character by character.
Material.
Calculated powder diffractogram
Compound: Cr2IF
Radiation: Cu Kα X-rays
Structure: DFT lattice parameters and positions (PBE+U)

Cell lengths 5.6028, 5.6028, 12.8267 Å; angles 90.00, 90.00, 90.00 degrees
Space group I-42d (No. 122)
Asymmetric unit:
Cr  0.1435  0.2500  0.1250
I  0.0000  0.0000  0.5000
F  0.0000  0.0000  0.0000

Principal peaks in the range 2θ from 10° to 90°, in order of rising 2θ:
two_theta  Rel. int.  h k l
17.3  15  1 0 1
26.2  41  1 0 3
26.4  100  1 1 2
36.5  42  2 1 1
38.6  15  1 0 5
42.9  41  2 0 4
45.8  11  2 2 0
48.4  18  1 1 6
53.7  20  3 1 2
63.7  10  3 2 3


Calculated powder diffractogram
Compound: Li2Si2Ni3O8
Radiation: Cu Kα X-rays
Structure: DFT lattice parameters and positions (PBE+U)

Cell lengths 5.0066, 8.6852, 13.1401 Å; angles 70.97, 80.17, 89.61 degrees
Space group P1 (No. 1)
Asymmetric unit:
Li  0.0000  0.0000  0.0000
Li  0.0268  0.3599  0.9224
Li  0.1180  0.4824  0.7048
Li  0.6986  0.4041  0.5843
Li  0.8492  0.5393  0.3154
Li  0.9401  0.6602  0.0831
Si  0.0965  0.7568  0.8301
Si  0.2715  0.3083  0.4777
Si  0.4021  0.8001  0.1622
Si  0.5603  0.2391  0.8240
Si  0.8045  0.7696  0.5107
Si  0.8885  0.2809  0.1663
Ni  0.1055  0.1448  0.7256
Ni  0.2687  0.9259  0.5730
Ni  0.3344  0.6705  0.4145
Ni  0.3546  0.4276  0.2253
Ni  0.4239  0.1687  0.0709
Ni  0.5477  0.8693  0.9105
Ni  0.6312  0.6002  0.7620
Ni  0.8237  0.1545  0.4246
Ni  0.8732  0.9113  0.2616
O  0.0286  0.2834  0.5828
O  0.1070  0.3435  0.3718
O  0.1659  0.7889  0.9400
O  0.1936  0.6424  0.1890
O  0.2031  0.9576  0.1458
O  0.2068  0.9242  0.7251
O  0.2187  0.3232  0.1311
O  0.2358  0.5961  0.8067
O  0.3105  0.1854  0.9305
O  0.4106  0.3019  0.7157
O  0.4421  0.1425  0.4928
O  0.4778  0.7794  0.5049
O  0.5025  0.4579  0.4512
O  0.5587  0.7711  0.2681
O  0.6484  0.8392  0.0562
O  0.7481  0.4440  0.1850
Completed.
Calculated powder diffractogram
Compound: Cr2IF
Radiation: Cu Kα X-rays
Structure: DFT lattice parameters and positions (PBE+U)

Cell lengths 5.6028, 5.6028, 12.8267 Å; angles 90.00, 90.00, 90.00 degrees
Space group I-42d (No. 122)
Asymmetric unit:
Cr  0.1435  0.2500  0.1250
I  0.0000  0.0000  0.5000
F  0.0000  0.0000  0.0000

Principal peaks in the range 2θ from 10° to 90°, in order of rising 2θ:
two_theta  Rel. int.  h k l
17.3  15  1 0 1
26.2  41  1 0 3
26.4  100  1 1 2
36.5  42  2 1 1
38.6  15  1 0 5
42.9  41  2 0 4
45.8  11  2 2 0
48.4  18  1 1 6
53.7  20  3 1 2
63.7  10  3 2 3


Calculated powder diffractogram
Compound: Li2Si2Ni3O8
Radiation: Cu Kα X-rays
Structure: DFT lattice parameters and positions (PBE+U)

Cell lengths 5.0066, 8.6852, 13.1401 Å; angles 70.97, 80.17, 89.61 degrees
Space group P1 (No. 1)
Asymmetric unit:
Li  0.0000  0.0000  0.0000
Li  0.0268  0.3599  0.9224
Li  0.1180  0.4824  0.7048
Li  0.6986  0.4041  0.5843
Li  0.8492  0.5393  0.3154
Li  0.9401  0.6602  0.0831
Si  0.0965  0.7568  0.8301
Si  0.2715  0.3083  0.4777
Si  0.4021  0.8001  0.1622
Si  0.5603  0.2391  0.8240
Si  0.8045  0.7696  0.5107
Si  0.8885  0.2809  0.1663
Ni  0.1055  0.1448  0.7256
Ni  0.2687  0.9259  0.5730
Ni  0.3344  0.6705  0.4145
Ni  0.3546  0.4276  0.2253
Ni  0.4239  0.1687  0.0709
Ni  0.5477  0.8693  0.9105
Ni  0.6312  0.6002  0.7620
Ni  0.8237  0.1545  0.4246
Ni  0.8732  0.9113  0.2616
O  0.0286  0.2834  0.5828
O  0.1070  0.3435  0.3718
O  0.1659  0.7889  0.9400
O  0.1936  0.6424  0.1890
O  0.2031  0.9576  0.1458
O  0.2068  0.9242  0.7251
O  0.2187  0.3232  0.1311
O  0.2358  0.5961  0.8067
O  0.3105  0.1854  0.9305
O  0.4106  0.3019  0.7157
O  0.4421  0.1425  0.4928
O  0.4778  0.7794  0.5049
O  0.5025  0.4579  0.4512
O  0.5587  0.7711  0.2681
O  0.6484  0.8392  0.0562
O  0.7481  0.4440  0.1850